........
# 1
A molecular structure, C51H101N9O3S2 at a distorted geometry. Source: the Open Molecules 2025 dataset; level of theory: wB97M-V/def2-TZVPD.

## Properties
**Multiplicity**: 1
**E_HOMO**: -8.1 eV

Last column: Mulliken charge in e.
Atoms and positions in Å:
C (-3.2399, 2.4742, 1.2234)  -1.151
C (-4.6701, 2.9191, 1.0771)  0.881
N (-5.0507, 3.6439, 0.1136)  -0.703
C (-5.7250, 2.4896, 2.0755)  -1.570
C (-6.2129, 1.1033, 1.7284)  -0.311
C (-5.6894, -0.0785, 2.2035)  0.162
C (-4.6613, -0.0428, 3.3166)  0.769
N (-5.2504, 0.5695, 4.5522)  -0.643
C (-6.1311, -1.3498, 1.6888)  0.147
C (-5.3983, -2.5954, 2.1247)  -0.873
C (-3.9308, -2.6318, 1.6636)  1.165
C (-3.8020, -2.7059, 0.1382)  -1.762
O (-3.3153, -3.7477, 2.2877)  -0.542
C (-2.3568, -3.3843, 3.2615)  -0.009
C (-1.1893, -2.5917, 2.7477)  0.510
C (-0.5163, -2.9415, 1.5856)  -0.555
C (0.5373, -2.1741, 1.1321)  -0.385
C (0.9226, -1.0498, 1.8157)  -0.231
C (0.2776, -0.6919, 2.9839)  -1.143
C (-0.7860, -1.4634, 3.4430)  -0.145
C (-7.1860, -1.4207, 0.8078)  -0.099
S (-7.8736, -2.9705, 0.2368)  1.449
C (-8.3636, -3.8050, 1.7456)  -1.132
O (-6.8797, -3.7530, -0.4525)  -0.677
O (-9.0891, -2.7264, -0.4848)  -0.717
C (-7.7810, -0.2173, 0.3295)  0.771
N (-8.7737, -0.0649, -0.5449)  -0.624
S (-9.0213, 1.4867, -0.7297)  0.093
N (-7.9081, 2.0855, 0.2670)  -0.604
C (-7.2855, 1.0362, 0.7931)  1.173
H (-2.9380, 2.5312, 2.2656)  0.260
H (-3.0946, 1.4714, 0.8420)  0.267
H (-2.6280, 3.1819, 0.6803)  0.388
H (-4.2617, 3.8641, -0.4928)  0.195
H (-6.5481, 3.1713, 1.9223)  0.484
H (-5.3843, 2.5621, 3.0965)  0.658
H (-4.3259, -1.0311, 3.5752)  -0.535
H (-3.8221, 0.5693, 3.0358)  -0.092
H (-5.9012, -0.1097, 4.9357)  0.279
H (-4.5009, 0.5963, 5.2376)  0.336
H (-5.4652, -2.6795, 3.2113)  -0.232
H (-5.8431, -3.4861, 1.7160)  0.395
H (-3.4708, -1.7013, 1.9641)  -0.037
H (-4.7282, -2.9701, -0.3506)  0.342
H (-3.0862, -3.4846, -0.0896)  0.383
H (-3.3900, -1.7893, -0.2647)  0.263
H (-1.9747, -4.3185, 3.6663)  0.545
H (-2.8345, -2.8702, 4.0975)  -0.419
H (-0.8257, -3.8174, 1.0421)  0.400
H (1.0346, -2.4393, 0.2164)  0.402
H (1.7306, -0.4586, 1.4165)  0.505
H (0.5612, 0.1780, 3.5492)  0.417
H (-1.3029, -1.1845, 4.3468)  0.429
H (-7.7143, -4.6541, 1.9042)  0.348
H (-8.2994, -3.1237, 2.5802)  0.326
H (-9.3687, -4.1617, 1.5763)  0.468
C (-1.5551, 5.9602, -2.9852)  -1.382
C (-0.5068, 5.7966, -1.8951)  -0.417
N (-0.0397, 4.4301, -1.7527)  0.351
C (0.7350, 4.2106, -0.5439)  -0.942
C (2.0744, 4.9413, -0.3917)  -0.611
C (0.4755, 3.8150, -2.9624)  -0.252
C (1.6500, 4.4965, -3.6779)  -1.117
H (-2.3908, 5.2769, -2.8288)  0.266
H (-1.9432, 6.9791, -2.9719)  0.456
H (-1.1457, 5.7823, -3.9801)  0.292
H (-0.9565, 6.0922, -0.9431)  0.454
H (0.3136, 6.5071, -2.0832)  0.222
H (0.9064, 3.1357, -0.4318)  0.299
H (0.0976, 4.4881, 0.3028)  0.372
H (2.8522, 4.5054, -1.0176)  0.064
H (2.4187, 4.8633, 0.6428)  0.410
H (1.9941, 6.0033, -0.6258)  0.271
H (-0.3505, 3.7279, -3.6727)  0.440
H (0.7470, 2.7843, -2.7265)  -0.161
H (1.5121, 5.5754, -3.7586)  0.289
H (1.7383, 4.1028, -4.6926)  0.413
H (2.6002, 4.3103, -3.1792)  0.265
C (5.3189, -2.7756, -1.9359)  -1.576
C (3.9697, -2.0759, -1.9936)  -0.072
N (4.0737, -0.6561, -2.2712)  0.312
C (2.8351, 0.0652, -2.0497)  -0.091
C (1.6301, -0.2674, -2.9406)  -1.357
C (4.8085, -0.3037, -3.4730)  -1.199
C (4.3203, -0.8758, -4.8108)  -0.512
H (5.9810, -2.2854, -1.2214)  0.320
H (5.1833, -3.8103, -1.6192)  0.455
H (5.8135, -2.7963, -2.9077)  0.312
H (3.4878, -2.1862, -1.0175)  0.230
H (3.3280, -2.6035, -2.7175)  0.287
H (3.0370, 1.1373, -2.1217)  0.282
H (2.5353, -0.0992, -1.0085)  -0.094
H (1.7371, 0.1411, -3.9444)  0.321
H (0.7269, 0.1728, -2.5119)  0.455
H (1.4604, -1.3416, -3.0197)  0.364
H (5.8484, -0.6093, -3.3332)  0.462
H (4.8481, 0.7861, -3.5406)  0.371
H (4.0726, -1.9361, -4.7406)  0.239
H (5.1068, -0.7744, -5.5621)  0.308
H (3.4483, -0.3442, -5.1891)  0.213
C (4.2328, -0.2499, -8.9220)  -1.239
C (4.2811, -1.2879, -10.0316)  -0.370
N (5.3654, -2.2375, -9.8699)  0.092
........

Now restate only the last part of the listing above, starting with the line that has "0.454".

H (-0.9565, 6.0922, -0.9431)  0.454
H (0.3136, 6.5071, -2.0832)  0.222
H (0.9064, 3.1357, -0.4318)  0.299
H (0.0976, 4.4881, 0.3028)  0.372
H (2.8522, 4.5054, -1.0176)  0.064
H (2.4187, 4.8633, 0.6428)  0.410
H (1.9941, 6.0033, -0.6258)  0.271
H (-0.3505, 3.7279, -3.6727)  0.440
H (0.7470, 2.7843, -2.7265)  -0.161
H (1.5121, 5.5754, -3.7586)  0.289
H (1.7383, 4.1028, -4.6926)  0.413
H (2.6002, 4.3103, -3.1792)  0.265
C (5.3189, -2.7756, -1.9359)  -1.576
C (3.9697, -2.0759, -1.9936)  -0.072
N (4.0737, -0.6561, -2.2712)  0.312
C (2.8351, 0.0652, -2.0497)  -0.091
C (1.6301, -0.2674, -2.9406)  -1.357
C (4.8085, -0.3037, -3.4730)  -1.199
C (4.3203, -0.8758, -4.8108)  -0.512
H (5.9810, -2.2854, -1.2214)  0.320
H (5.1833, -3.8103, -1.6192)  0.455
H (5.8135, -2.7963, -2.9077)  0.312
H (3.4878, -2.1862, -1.0175)  0.230
H (3.3280, -2.6035, -2.7175)  0.287
H (3.0370, 1.1373, -2.1217)  0.282
H (2.5353, -0.0992, -1.0085)  -0.094
H (1.7371, 0.1411, -3.9444)  0.321
H (0.7269, 0.1728, -2.5119)  0.455
H (1.4604, -1.3416, -3.0197)  0.364
H (5.8484, -0.6093, -3.3332)  0.462
H (4.8481, 0.7861, -3.5406)  0.371
H (4.0726, -1.9361, -4.7406)  0.239
H (5.1068, -0.7744, -5.5621)  0.308
H (3.4483, -0.3442, -5.1891)  0.213
C (4.2328, -0.2499, -8.9220)  -1.239
C (4.2811, -1.2879, -10.0316)  -0.370
N (5.3654, -2.2375, -9.8699)  0.092